Exercise
Copy the calculation results further below without additions, please.

Source
........
Entry 1:
Here is a relaxed NaCdFeRe crystal from OQMD via LeMat-Bulk. Energies are from PBE.

Structure (CIF):
```
data_NaCdFeRe
_chemical_formula_sum 'Na4 Cd4 Fe4 Re4'
_symmetry_space_group_name_H-M 'F -4 3 m'
_symmetry_Int_Tables_number 216
_symmetry_space_group_name_Hall 'F -4 2 3'
_cell_length_a 6.2174
_cell_length_b 6.2174
_cell_length_c 6.2174
_cell_angle_alpha 90.00
_cell_angle_beta 90.00
_cell_angle_gamma 90.00
loop_
_atom_site_label
_atom_site_fract_x
_atom_site_fract_y
_atom_site_fract_z
Na1 0.0000 0.0000 0.0000
Cd1 0.2500 0.2500 0.7500
Fe1 0.0000 0.0000 0.5000
Re1 0.2500 0.2500 0.2500
```

Values from the calculation:
Distance to the lowest polymorph of the same formula: 0 meV/atom

---

Entry 2:
Here is a relaxed NaCdFeRe crystal from OQMD via LeMat-Bulk. Energies are from PBE.

Structure (CIF):
```
data_NaCdFeRe
_chemical_formula_sum 'Na4 Cd4 Fe4 Re4'
_symmetry_space_group_name_H-M 'F -4 3 m'
_symmetry_Int_Tables_number 216
_symmetry_space_group_name_Hall 'F -4 2 3'
_cell_length_a 6.4006
_cell_length_b 6.4006
_cell_length_c 6.4006
_cell_angle_alpha 90.00
_cell_angle_beta 90.00
_cell_angle_gamma 90.00
loop_
_atom_site_label
_atom_site_fract_x
_atom_site_fract_y
_atom_site_fract_z
Na1 0.0000 0.0000 0.0000
Cd1 0.2500 0.2500 0.2500
Fe1 0.2500 0.2500 0.7500
Re1 0.0000 0.0000 0.5000
```

Values from the calculation:
Distance to the lowest polymorph of the same formula: 34 meV/atom

---

Entry 3:
Here is a relaxed NaCdFeTc crystal from OQMD via LeMat-Bulk. Energies are from PBE.

Structure (CIF):
```
data_NaCdFeTc
_chemical_formula_sum 'Na4 Cd4 Fe4 Tc4'
_symmetry_space_group_name_H-M 'F -4 3 m'
_symmetry_Int_Tables_number 216
_symmetry_space_group_name_Hall 'F -4 2 3'
_cell_length_a 6.3181
_cell_length_b 6.3181
_cell_length_c 6.3181
_cell_angle_alpha 90.00
_cell_angle_beta 90.00
_cell_angle_gamma 90.00
loop_
_atom_site_label
_atom_site_fract_x
_atom_site_fract_y
_atom_site_fract_z
Na1 0.0000 0.0000 0.0000
Cd1 0.2500 0.2500 0.7500
Fe1 0.0000 0.0000 0.5000
Tc1 0.2500 0.2500 0.2500
```

Values from the calculation:
Distance to the lowest polymorph of the same formula: 17 meV/atom

---

Entry 4:
Here is a relaxed NaCdFeTc crystal from OQMD via LeMat-Bulk. Energies are from PBE.

Structure (CIF):
```
data_NaCdFeTc
_chemical_formula_sum 'Na4 Cd4 Fe4 Tc4'
_symmetry_space_group_name_H-M 'F -4 3 m'
_symmetry_Int_Tables_number 216
_symmetry_space_group_name_Hall 'F -4 2 3'
_cell_length_a 6.4575
_cell_length_b 6.4575
_cell_length_c 6.4575
_cell_angle_alpha 90.00
_cell_angle_beta 90.00
_cell_angle_gamma 90.00
loop_
_atom_site_label
_atom_site_fract_x
_atom_site_fract_y
_atom_site_fract_z
Na1 0.0000 0.0000 0.0000
Cd1 0.2500 0.2500 0.2500
Fe1 0.2500 0.2500 0.7500
Tc1 0.0000 0.0000 0.5000
```

Values from the calculation:
Distance to the lowest polymorph of the same formula: 0 meV/atom

---

Entry 5:
Here is a relaxed NaCdFeTe3 crystal from OQMD via LeMat-Bulk. Energies are from PBE.

Structure (CIF):
```
data_NaCdFeTe3
_chemical_formula_sum 'Na2 Cd2 Fe2 Te6'
_symmetry_space_group_name_H-M 'P 1 21/m 1'
_symmetry_Int_Tables_number 11
_symmetry_space_group_name_Hall '-P 2yb'
_cell_length_a 8.4985
_cell_length_b 4.2627
_cell_length_c 9.9571
_cell_angle_alpha 90.00
_cell_angle_beta 114.90
_cell_angle_gamma 90.00
loop_
_atom_site_label
_atom_site_fract_x
_atom_site_fract_y
_atom_site_fract_z
Na1 0.2416 0.2500 0.2367
Cd1 0.1985 0.7500 0.6195
Fe1 0.3500 0.2500 0.8628
Te1 0.0013 0.2500 0.7046
Te2 0.3179 0.7500 0.9970
Te3 0.4436 0.2500 0.6341
```

Values from the calculation:
Final energy: -3.57 eV/atom

---

Entry 6:
Here is a relaxed NbCdFe crystal from OQMD via LeMat-Bulk. Energies are from PBE.

Structure (CIF):
```
data_NbCdFe
_chemical_formula_sum 'Nb4 Cd4 Fe4'
_symmetry_space_group_name_H-M 'F -4 3 m'
_symmetry_Int_Tables_number 216
_symmetry_space_group_name_Hall 'F -4 2 3'
_cell_length_a 6.1002
_cell_length_b 6.1002
_cell_length_c 6.1002
_cell_angle_alpha 90.00
_cell_angle_beta 90.00
_cell_angle_gamma 90.00
loop_
_atom_site_label
........

Outcome
Entry 1:
Here is a relaxed NaCdFeRe crystal from OQMD via LeMat-Bulk. Energies are from PBE.

Structure (CIF):
```
data_NaCdFeRe
_chemical_formula_sum 'Na4 Cd4 Fe4 Re4'
_symmetry_space_group_name_H-M 'F -4 3 m'
_symmetry_Int_Tables_number 216
_symmetry_space_group_name_Hall 'F -4 2 3'
_cell_length_a 6.2174
_cell_length_b 6.2174
_cell_length_c 6.2174
_cell_angle_alpha 90.00
_cell_angle_beta 90.00
_cell_angle_gamma 90.00
loop_
_atom_site_label
_atom_site_fract_x
_atom_site_fract_y
_atom_site_fract_z
Na1 0.0000 0.0000 0.0000
Cd1 0.2500 0.2500 0.7500
Fe1 0.0000 0.0000 0.5000
Re1 0.2500 0.2500 0.2500
```

Values from the calculation:
Distance to the lowest polymorph of the same formula: 0 meV/atom

---

Entry 2:
Here is a relaxed NaCdFeRe crystal from OQMD via LeMat-Bulk. Energies are from PBE.

Structure (CIF):
```
data_NaCdFeRe
_chemical_formula_sum 'Na4 Cd4 Fe4 Re4'
_symmetry_space_group_name_H-M 'F -4 3 m'
_symmetry_Int_Tables_number 216
_symmetry_space_group_name_Hall 'F -4 2 3'
_cell_length_a 6.4006
_cell_length_b 6.4006
_cell_length_c 6.4006
_cell_angle_alpha 90.00
_cell_angle_beta 90.00
_cell_angle_gamma 90.00
loop_
_atom_site_label
_atom_site_fract_x
_atom_site_fract_y
_atom_site_fract_z
Na1 0.0000 0.0000 0.0000
Cd1 0.2500 0.2500 0.2500
Fe1 0.2500 0.2500 0.7500
Re1 0.0000 0.0000 0.5000
```

Values from the calculation:
Distance to the lowest polymorph of the same formula: 34 meV/atom

---

Entry 3:
Here is a relaxed NaCdFeTc crystal from OQMD via LeMat-Bulk. Energies are from PBE.

Structure (CIF):
```
data_NaCdFeTc
_chemical_formula_sum 'Na4 Cd4 Fe4 Tc4'
_symmetry_space_group_name_H-M 'F -4 3 m'
_symmetry_Int_Tables_number 216
_symmetry_space_group_name_Hall 'F -4 2 3'
_cell_length_a 6.3181
_cell_length_b 6.3181
_cell_length_c 6.3181
_cell_angle_alpha 90.00
_cell_angle_beta 90.00
_cell_angle_gamma 90.00
loop_
_atom_site_label
_atom_site_fract_x
_atom_site_fract_y
_atom_site_fract_z
Na1 0.0000 0.0000 0.0000
Cd1 0.2500 0.2500 0.7500
Fe1 0.0000 0.0000 0.5000
Tc1 0.2500 0.2500 0.2500
```

Values from the calculation:
Distance to the lowest polymorph of the same formula: 17 meV/atom

---

Entry 4:
Here is a relaxed NaCdFeTc crystal from OQMD via LeMat-Bulk. Energies are from PBE.

Structure (CIF):
```
data_NaCdFeTc
_chemical_formula_sum 'Na4 Cd4 Fe4 Tc4'
_symmetry_space_group_name_H-M 'F -4 3 m'
_symmetry_Int_Tables_number 216
_symmetry_space_group_name_Hall 'F -4 2 3'
_cell_length_a 6.4575
_cell_length_b 6.4575
_cell_length_c 6.4575
_cell_angle_alpha 90.00
_cell_angle_beta 90.00
_cell_angle_gamma 90.00
loop_
_atom_site_label
_atom_site_fract_x
_atom_site_fract_y
_atom_site_fract_z
Na1 0.0000 0.0000 0.0000
Cd1 0.2500 0.2500 0.2500
Fe1 0.2500 0.2500 0.7500
Tc1 0.0000 0.0000 0.5000
```

Values from the calculation:
Distance to the lowest polymorph of the same formula: 0 meV/atom

---

Entry 5:
Here is a relaxed NaCdFeTe3 crystal from OQMD via LeMat-Bulk. Energies are from PBE.

Structure (CIF):
```
data_NaCdFeTe3
_chemical_formula_sum 'Na2 Cd2 Fe2 Te6'
_symmetry_space_group_name_H-M 'P 1 21/m 1'
_symmetry_Int_Tables_number 11
_symmetry_space_group_name_Hall '-P 2yb'
_cell_length_a 8.4985
_cell_length_b 4.2627
_cell_length_c 9.9571
_cell_angle_alpha 90.00
_cell_angle_beta 114.90
_cell_angle_gamma 90.00
loop_
_atom_site_label
_atom_site_fract_x
_atom_site_fract_y
_atom_site_fract_z
Na1 0.2416 0.2500 0.2367
Cd1 0.1985 0.7500 0.6195
Fe1 0.3500 0.2500 0.8628
Te1 0.0013 0.2500 0.7046
Te2 0.3179 0.7500 0.9970
Te3 0.4436 0.2500 0.6341
```

Values from the calculation:
Final energy: -3.57 eV/atom

---

Entry 6:
Here is a relaxed NbCdFe crystal from OQMD via LeMat-Bulk. Energies are from PBE.

Structure (CIF):
```
data_NbCdFe
_chemical_formula_sum 'Nb4 Cd4 Fe4'
_symmetry_space_group_name_H-M 'F -4 3 m'
_symmetry_Int_Tables_number 216
_symmetry_space_group_name_Hall 'F -4 2 3'
_cell_length_a 6.1002
_cell_length_b 6.1002
_cell_length_c 6.1002
_cell_angle_alpha 90.00
_cell_angle_beta 90.00
_cell_angle_gamma 90.00
loop_
_atom_site_label